Job:
Write out every line below that contains the word "neighbours".

Data:
+++
# 1
ORCA calculation (ωB97M-V with the def2-TZVPD basis set) on C5H6 in the gas phase in a non-equilibrium geometry.

Values from the calculation:
* ΔE to the lowest compared entry with this formula, charge and spin: 329.07 kJ/mol
* SMILES: C#CCC=C
* charge: 0
* spin multiplicity: 1
* gap between HOMO and LUMO: 10.429 eV

Last columns: bonded neighbours and bond lengths (Å).
Positions of all 11 atoms, in Å:
1 C 0.51771 0.83050 0.83567  C4 1.328, H8 1.042, H10 1.097
2 C -1.01359 -0.84622 -0.23818  C3 1.476, C5 1.198
3 C 0.27662 -0.70534 -0.94195  C2 1.476, C4 1.527, H6 1.091, H7 1.087
4 C 1.17879 0.24136 -0.15421  C1 1.328, C3 1.527, H9 1.001
5 C -1.81031 -0.28083 0.45522  C2 1.198, H11 1.053
6 H 0.56707 -1.72356 -1.20460  C3 1.091
7 H 0.22588 -0.10511 -1.84683  C3 1.087
8 H -0.21658 0.49176 1.49278  C1 1.042
9 H 2.01104 0.60020 -0.57838  C4 1.001
10 H 1.01823 1.70706 1.26416  C1 1.097
11 H -2.75486 -0.20983 0.91633  C5 1.053

# 2
ORCA calculation (ωB97M-V with the def2-TZVPD basis set) on 11 unconnected molecules or ions with the total composition C44H85N3O8 in a non-equilibrium geometry.

Values from the calculation:
* SMILES: C1CCOC1.C1CCOC1.C1CCOC1.C1CCOC1.C1CCOC1.C1CCOC1.C1CCOC1.C1CCOC1.CCCC#N.CCCC#N.CCCC#N
* charge: 0
* spin multiplicity: 1
* gap between HOMO and LUMO: 9.640 eV

Last columns: bonded neighbours and bond lengths (Å).
Positions of all 140 atoms, in Å:
1 O 0.38203 -4.38003 3.33525  C12 1.422, C19 1.409
2 O -1.04836 5.10290 1.82696  C44 1.391, C50 1.430
3 O 0.12882 0.34210 0.44521  C24 1.443, C31 1.376
4 O 4.10562 0.29927 0.20094  C35 1.408, C43 1.456
5 O -2.18944 -6.13040 -0.41685  C42 1.415, C49 1.399
6 O -3.40838 0.90158 -0.30938  C20 1.421, C54 1.445
7 O 1.20458 -1.37891 -6.09963  C23 1.425, C36 1.428
8 O 0.61414 1.55421 -3.72302  C41 1.448, C51 1.411
9 N 0.26591 -3.34089 7.68084  C46 1.162
10 N 2.78393 4.27877 -1.90893  C38 1.150
11 N -2.52985 -0.68559 4.27184  C21 1.164
12 C -0.51215 -3.84546 4.30375  O1 1.422, C34 1.523, H71 1.129, H90 1.050
13 C 0.71718 6.48651 1.04869  C22 1.550, C50 1.481, H93 1.087, H105 1.096
14 C -3.48513 2.62727 -1.95991  C54 1.534, C55 1.600, H69 1.098, H126 1.081
15 C 0.74517 3.40531 -5.20182  C41 1.488, C47 1.544, H59 1.083, H85 1.090
16 C -1.68880 -5.47097 3.01219  C19 1.516, C34 1.546, H81 1.088, H115 1.072
17 C -0.81955 -1.62613 -4.80341  C25 1.566, C36 1.569, H100 1.091, H109 1.074
18 C 3.55038 -1.95852 0.77930  C29 1.526, C43 1.513, H87 1.148, H117 1.099
19 C -0.33017 -5.17092 2.41141  O1 1.409, C16 1.516, H58 1.078, H116 1.122
20 C -3.09183 0.21776 -1.51364  O6 1.421, C55 1.589, H78 1.074, H123 1.031
21 C -3.37990 -0.44016 3.51587  N11 1.164, C39 1.420
22 C -0.17259 6.07853 -0.15291  C13 1.550, C44 1.549, H84 1.094, H135 1.083
23 C 1.48210 -2.19896 -4.96767  O7 1.425, C25 1.515, H68 1.127, H77 1.068
24 C 0.99438 1.36740 -0.08628  O3 1.443, C52 1.479, H128 1.095, H134 1.102
25 C 0.43838 -1.89865 -3.91212  C17 1.566, C23 1.515, H79 1.101, H97 1.122
26 C -3.04195 -4.43249 -1.81773  C49 1.576, C53 1.541, H74 1.094, H107 1.082
27 C -5.33447 -2.54370 2.73368  C33 1.520, H73 1.070, H92 1.102, H122 1.098
28 C 6.04707 3.59221 -0.71598  C37 1.531, C48 1.545, H56 1.091, H138 1.092
29 C 3.09826 -1.64191 -0.64305  C18 1.526, C35 1.551, H99 1.130, H129 1.115
30 C 1.61151 -1.78067 6.04478  C45 1.563, C46 1.484, H103 1.100, H125 1.121
31 C -0.43775 0.69067 1.64932  O3 1.376, C32 1.552, H83 1.085, H102 1.089
32 C 0.43155 1.86380 2.17535  C31 1.552, C52 1.568, H101 1.174, H127 1.125
33 C -4.75465 -1.52992 1.76131  C27 1.520, C39 1.545, H86 1.119, H94 1.117
34 C -1.91146 -4.15021 3.78426  C12 1.523, C16 1.546, H62 1.102, H137 1.099
35 C 4.05363 -0.46742 -0.97925  O4 1.408, C29 1.551, H70 1.119, H111 1.102
36 C -0.21734 -1.38194 -6.23193  O7 1.428, C17 1.569, H57 1.066, H136 1.103
37 C 4.61170 3.35569 -0.23916  C28 1.531, C38 1.493, H72 1.068, H120 1.149
38 C 3.59763 3.89541 -1.19208  N10 1.150, C37 1.493
39 C -4.40150 -0.24824 2.54791  C21 1.420, C33 1.545, H91 1.081, H139 1.085
+++

Reply:
Last columns: bonded neighbours and bond lengths (Å).
Last columns: bonded neighbours and bond lengths (Å).